**Assignment:**
Repeat the calculation results underneath from the line with "For the" to the end character by character.

**Given:**
+++
# 1
Density functional theory data (r²SCAN) for a geometry-optimized BPO4 structure.

Unit cell a=4.344 b=4.344 c=6.654 alpha=90.00 beta=90.00 gamma=90.00
Space group I-4 (No. 82)
Unique sites:
B1 0.000 0.000 0.000
P1 0.000 0.500 0.250
O1 0.139 0.242 0.123

Computed properties:
The formation energy comes out at -2.508 eV/atom. The value obtained for the magnetization is 0.00 μB/f.u.

***

# 2
Density functional theory data (r²SCAN) for a geometry-optimized PrAg2 structure.

Unit cell a=4.786 b=8.316 c=3.593 alpha=90.00 beta=90.00 gamma=90.00
Space group Cmmm (No. 65)
Unique sites:
Pr1 0.000 0.000 0.000
Ag1 0.000 0.334 0.500

Computed properties:
The formation energy comes out at -0.268 eV/atom. The value obtained for the magnetization is 0.00 μB/f.u.

***

# 3
Density functional theory data (r²SCAN) for a geometry-optimized La3PbI3 structure.

Unit cell a=13.040 b=13.040 c=13.040 alpha=90.00 beta=90.00 gamma=90.00
Space group I4_132 (No. 214)
Unique sites:
La1 0.117 0.367 0.125
Pb1 0.125 0.125 0.125
I1 0.119 0.131 0.625

Computed properties:
The formation energy comes out at -1.382 eV/atom. The value obtained for the magnetization is 0.00 μB/f.u.

***

# 4
Density functional theory data (r²SCAN) for a geometry-optimized Pr2GeRh3 structure.

Unit cell a=5.6892 b=5.6892 c=12.0457 alpha=90.00 beta=90.00 gamma=120.00
Space group R-3m (No. 166, hexagonal axes)
Unique sites:
Pr1 0.0000 0.0000 0.1290
Ge1 0.0000 0.0000 0.5000
Rh1 0.0000 0.5000 0.0000

Computed properties:
The formation energy comes out at -0.824 eV/atom. The value obtained for the magnetization is 0.00 μB/f.u.

***

# 5
Density functional theory data (r²SCAN) for a geometry-optimized N structure.

Unit cell a=5.815 b=5.815 c=5.815 alpha=90.00 beta=90.00 gamma=90.00
Space group P2_13 (No. 198)
Unique sites:
N1 0.046 0.454 0.546
N2 0.064 0.064 0.064

Computed properties:
The formation energy comes out at 0.000 eV/atom. The value obtained for the magnetization is 0.00 μB/f.u. For the polymorph energy (0 for the lowest one), the calculation gives 0 meV/atom.

***

# 6
Density functional theory data (r²SCAN) for a geometry-optimized CeBi2Au structure.

Unit cell a=4.686 b=4.686 c=9.945 alpha=90.00 beta=90.00 gamma=90.00
Space group P4/nmm (No. 129, origin choice 2)
Unique sites:
Ce1 0.250 0.250 0.233
Bi1 0.250 0.250 0.813
Bi2 0.250 0.750 0.500
Au1 0.250 0.750 0.000

Computed properties:
The formation energy comes out at -0.641 eV/atom. The value obtained for the magnetization is 0.84 μB/f.u.

* * * * *

Here is a relaxed structure of MnP4O11 from the Materials Project. Energies are from PBE+U.

a = 12.7102 Å, b = 8.4346 Å, c = 11.5842 Å
α = 48.34°, β = 90.00°, γ = 90.00°
Closest atoms and distances in Å follow each position.
Positions (direct):
P (0.3351, 0.6485, 0.7335)  4 O 1.47-1.60
O (0.8962, 0.2286, 0.7420)  1 P 1.47
O (0.0292, 0.7833, 0.7054)  1 P 1.49
O (0.2822, 0.1706, 0.4221)  2 P 1.57-1.65
O (0.1941, 0.0278, 0.3145)  1 P 1.48
O (0.1038, 0.7714, 0.2580)  1 P 1.47
P (0.9963, 0.3433, 0.3380)  4 O 1.48-1.66
O (0.7822, 0.8294, 0.0779)  2 P 1.57-1.65
O (0.2299, 0.7789, 0.0789)  2 P 1.58-1.65
O (0.0873, 0.2849, 0.0259)  1 P 1.47
O (0.4708, 0.7833, 0.2054)  1 P 1.49
P (0.5037, 0.3433, 0.8380)  4 O 1.48-1.66
O (0.6020, 0.0007, 0.6507)  1 P 1.48
O (0.6941, 0.9722, 0.1855)  1 P 1.48
O (0.5997, 0.5112, 0.2664)  2 P 1.58-1.65
O (0.5873, 0.7151, 0.4741)  1 P 1.47
P (0.6649, 0.3515, 0.2665)  4 O 1.47-1.60
O (0.9127, 0.7151, 0.9741)  1 P 1.47
O (0.4127, 0.2849, 0.5259)  1 P 1.47
O (0.7701, 0.2211, 0.9211)  2 P 1.58-1.65
Mn (0.5328, 0.9926, 0.2363)  6 O 2.17-2.23
O (0.0124, 0.2534, 0.4986)  1 P 1.48
O (0.1020, 0.9993, 0.8493)  1 P 1.48
Mn (0.4672, 0.0074, 0.7637)  6 O 2.17-2.23
P (0.1649, 0.6485, 0.2335)  4 O 1.47-1.60
O (0.8059, 0.9722, 0.6855)  1 P 1.48
O (0.9055, 0.5299, 0.2621)  2 P 1.58-1.66
O (0.0997, 0.4888, 0.2336)  2 P 1.58-1.65
P (0.6538, 0.6496, 0.6031)  4 O 1.47-1.61
O (0.2456, 0.5087, 0.8625)  2 P 1.60-1.61
O (0.4055, 0.4701, 0.2379)  2 P 1.58-1.66
+++

**Completed:**
The formation energy comes out at 0.000 eV/atom. The value obtained for the magnetization is 0.00 μB/f.u. For the polymorph energy (0 for the lowest one), the calculation gives 0 meV/atom.

***

# 6
Density functional theory data (r²SCAN) for a geometry-optimized CeBi2Au structure.

Unit cell a=4.686 b=4.686 c=9.945 alpha=90.00 beta=90.00 gamma=90.00
Space group P4/nmm (No. 129, origin choice 2)
Unique sites:
Ce1 0.250 0.250 0.233
Bi1 0.250 0.250 0.813
Bi2 0.250 0.750 0.500
Au1 0.250 0.750 0.000

Computed properties:
The formation energy comes out at -0.641 eV/atom. The value obtained for the magnetization is 0.84 μB/f.u.

* * * * *

Here is a relaxed structure of MnP4O11 from the Materials Project. Energies are from PBE+U.

a = 12.7102 Å, b = 8.4346 Å, c = 11.5842 Å
α = 48.34°, β = 90.00°, γ = 90.00°
Closest atoms and distances in Å follow each position.
Positions (direct):
P (0.3351, 0.6485, 0.7335)  4 O 1.47-1.60
O (0.8962, 0.2286, 0.7420)  1 P 1.47
O (0.0292, 0.7833, 0.7054)  1 P 1.49
O (0.2822, 0.1706, 0.4221)  2 P 1.57-1.65
O (0.1941, 0.0278, 0.3145)  1 P 1.48
O (0.1038, 0.7714, 0.2580)  1 P 1.47
P (0.9963, 0.3433, 0.3380)  4 O 1.48-1.66
O (0.7822, 0.8294, 0.0779)  2 P 1.57-1.65
O (0.2299, 0.7789, 0.0789)  2 P 1.58-1.65
O (0.0873, 0.2849, 0.0259)  1 P 1.47
O (0.4708, 0.7833, 0.2054)  1 P 1.49
P (0.5037, 0.3433, 0.8380)  4 O 1.48-1.66
O (0.6020, 0.0007, 0.6507)  1 P 1.48
O (0.6941, 0.9722, 0.1855)  1 P 1.48
O (0.5997, 0.5112, 0.2664)  2 P 1.58-1.65
O (0.5873, 0.7151, 0.4741)  1 P 1.47
P (0.6649, 0.3515, 0.2665)  4 O 1.47-1.60
O (0.9127, 0.7151, 0.9741)  1 P 1.47
O (0.4127, 0.2849, 0.5259)  1 P 1.47
O (0.7701, 0.2211, 0.9211)  2 P 1.58-1.65
Mn (0.5328, 0.9926, 0.2363)  6 O 2.17-2.23
O (0.0124, 0.2534, 0.4986)  1 P 1.48
O (0.1020, 0.9993, 0.8493)  1 P 1.48
Mn (0.4672, 0.0074, 0.7637)  6 O 2.17-2.23
P (0.1649, 0.6485, 0.2335)  4 O 1.47-1.60
O (0.8059, 0.9722, 0.6855)  1 P 1.48
O (0.9055, 0.5299, 0.2621)  2 P 1.58-1.66
O (0.0997, 0.4888, 0.2336)  2 P 1.58-1.65
P (0.6538, 0.6496, 0.6031)  4 O 1.47-1.61
O (0.2456, 0.5087, 0.8625)  2 P 1.60-1.61
O (0.4055, 0.4701, 0.2379)  2 P 1.58-1.66